I might download it out of morbid curiosity, though.
It's the new Harry Potter.Yes, HP was that shitty. At least the last 3, anyway.
possibly the ultimate death knell from the fanfiction generation. Shit like this might actually serve to legitimize terms like "Mary Sue" as valid critiques of literary works.Really I think I'm done with Vampire stories after Anita Blake. I'll pass on reading it.
needs moar makeout-vomitBECASE THAT'S WHAT WE CALL A SYMBOLOGY
I was never into vampires. Pardon me for saying, vamp fans, but they kinda... seemed like pussies to me. I mean with the garlic and sunlight nonsense. I much preferred werewolves who had the mystery of not just hiding during the day but walking among us, perhaps unaware and they RIP AND TEAR RIP AND TEAR. I've never found any good werewolf novels, though.
>>676I'm glad someone else prefers werewolves.As for good wolf fiction, I can't think of a lot right off the top of my head. There was, however, THIS...WORLD WAR TWO WEREWOLF
Vampires have been turned into a femininized icon. Oldschool vampires: evil wizardly beings who roamed dirt farming Eastern European towns at night. 'Vampire' a loose term for a supernatural voodoo man, and the term was even interchangeable with other village terms for were-creatures. Sometimes they eat you, sometimes they drink your blood, sometimes they take your soul, sometimes they can reproduce sexually, and sometimes they can't. Depends on the town you ask, and what date.Dracula vampires: Vampires go from some interchangable label with a host of cultural superstitions of Evil Magic People into undead creatures with blood thirst and modeled after Vlad the Impaler. Still monstrous creatures, now they're just as rich and powerful in the mortal world by popular consensus, as well.Hollywood vampires: No reflection, fangs, sunlight weakness, blood drinking, sometimes magic powers, rich, handsome, Old Money and Powerful. Domineering fantasies, essentially.Fanfic Writing Chick vampires: Androgynous, bi-sexual, a lot of emphasis is paid on the BDSM aspect of the shit (since people just CAN'T get enough of this inane BDSM-BS.) Mopey, emotional, angsty, and the sub-human aspects of their humanity inflated to make them more sympathetic and wilting willowy. (Anne Rice, Anita Blake.)WoD and Blade vampires: Hyperviolent, modern and grittygrimdark. There's really not much to say here. Halovampires.
That’s it, I vow if I ever write a vampire character he'll wear a Hawaiian shirt, have a cheery outlook on un-life yet still be hideously grotesque. Im talking Nosferatu (spelling?) grotesque here. And no sex drive, cause ... well HIS BALLS ARE DEAD OKAY.
>>677Ooh. I shall check that out, my good sir.
The Vampires and werewolves of the Whitewolf games will never be surpassed in terms on sheer awesomeness.I'll always think of Smiling Jack whenever I think of Vampires.
>>692The best things in WoD right now are Promethean and Changeling.
>>692>>693Worst think In new WOD? Malks no longer being a true clan...
>>695I think the worst new thing about New WoD is's terrible. :(
What I don't get about Twilight fans is how often I hear "My girlfriend/sister/some girl I know really wants me to read this..." from males.I know you have to be loose a few brain cells to read this crap but why would they think anyone without a vagina would be like it? It's obviously aimed at girls, it's like telling a guy to play with Barbies.
>>722Those are just excuses. Truth is, they wish to be the little girl.
>>722You know, there's a certain variety of chick (and probably a certain variety of guy) where they act out on what they want the world to be, and ignore things that detract from what they want, no matter how selfish or implausible they are.I was briefly friends with a woman (lol internet friendships) before she randomly unveiled and disclosed her obsession with mpreg fanfiction. As in, would NOT shut the hell up about it, and just didn't understand the concept of other people (specifically, guys) not finding it the most interesting thing in the universe. Just out of the blue at least once a day, "I just read the hottest mpreg fanfiction ever! He's the link!""Hurfdurf I'm RPing full metal alchemist mpreg! IT'S HOT!""We're roleplaying Inu-Yasha. I'm a yaoi Sesshoumaru ^.^! Brocest mpreg is HAWT."This went on until I had to go waay beyond a cordial and delicate request for her to stop, into outright telling her not to do it anymore because it was driving me up the damn wall. She blocked me soon after that, saying I were being immature. Well, pardon me for not wanting anything to do with a 30-something fangirl's demeaning mpreg fantasies. Fangirl zeal is to be feared, because they will not take no for an answer.
One of /tg/'s Magnificent Bastards cooked this up a while back. I give you: Twilight, as the setting for a Dark Matter campaign.====Forks, Washington. Summer 2007.Hoffman Institute agents are dispatched to the area to investigate animal mutilations that White Section Sasquatches had nothing to do with. The investigation eventually leads back to the town and the strange circumstance around it.To make a long story short, there are two major players: Isabella Swan and "Edward".Isabella Swan is the assumed name of Rita Weathers, a 26 year old latent psychic. While she doesn't control it directly, she has the power to alter the subconscious thoughts of large numbers of people. Her deep seated insecurities and neuroses, however affect the entire town by making them puppets in a live version of her fantasy world, where she is an eternally loved high schooler. By the time the agents pay a visit to Forks, she's on the verge of discovering her psychic abilities, but can't control her major ability due to her insecurities. If attacked, she may display telekinetic abilities, but she mainly relies on Edward. If knocked unconscious, it turns out she's been projecting a Glamour effect; she's actually rather plain."Edward" is the assumed name of a Bering demon, one that feeds on the misery of others. A few years ago, he came to Forks while roaming through the Northwest and stumbled on Isabella Swan / Rita Weathers little puppet show. For something that feeds on agony and misery, this was a banquet. The townspeople of Forks, while going though the motions of Rita's fantasy, are still partially aware of their surroundings and are in constant despair; tears rolling down their faces, even as they smile at you. Edward's need to protect Rita stems from the occasional moments of clarity the townspeople have. One of the eternal students at the high school tried to run over "Isabella" in the parking lot, not by accident, but in an attempt to get Edward to kill him in revenge. Edward, of course, found that hilarious and let him live.Edward's appearance and mannerisms are his approximations of her deepest fantasies. If researched, his appearance is based on a marble statue outside of a mental hospital in Arizona where Rita was interned five years ago. Edward's mannerisms are base attempts to reach the epitome of the 'dangerous' and 'novelty' columns of Ladder Theory. These attempts, however are shallow and unbelievable, the only reason it works on Isabella / Rita is because she's certifiably insane. The animal mutilations, as it turns out, are also parts of this act, to convince Isabella that Edward is indeed a "vampire", so she could keep the fantasy up and he'd have a meal ticket for at least the next half-century.Like other Bering Demons, Edward is vulnerable to Arcane and Divine FX, Silver, and Holy Water.
>>695THE FUCK!?!?!
>>678And then you have the best Vampires.Dr. McNinja Vampires: Build cyborg duplicates of themselves. Abduct celebrities to the moon to drink their blood. Hide the cure for Cancer on Mars.
<<<
1.
Ti4CdCu3O12 after structural relaxation. Source: the Materials Project database, functional PBE-GGA.

Unit cell a=6.459 b=6.459 c=6.459 alpha=109.47 beta=109.47 gamma=109.47
Fractional coordinates of all 20 atoms:
Ti  0.000  0.000  0.500
Ti  0.000  0.500  0.000
Ti  0.500  0.000  0.000
Ti  0.500  0.500  0.500
Cd  0.000  0.000  0.000
Cu  0.000  0.500  0.500
Cu  0.500  0.000  0.500
Cu  0.500  0.500  0.000
O  0.127  0.822  0.305
O  0.178  0.305  0.483
O  0.178  0.695  0.873
O  0.305  0.127  0.822
O  0.305  0.483  0.178
O  0.483  0.178  0.305
O  0.517  0.822  0.695
O  0.695  0.517  0.822
O  0.695  0.873  0.178
O  0.822  0.305  0.127
O  0.822  0.695  0.517
O  0.873  0.178  0.695

Output
* energy with MP2020 corrections: -7.667 eV/atom

=====

2.
Cd3Cu2P10 after structural relaxation. Source: the Materials Project database, functional PBE-GGA.

Unit cell a=7.469 b=7.469 c=7.469 alpha=60.16 beta=60.16 gamma=60.16
Fractional coordinates of all 15 atoms:
Cd  0.206  0.206  0.589
Cd  0.206  0.589  0.206
Cd  0.589  0.206  0.206
Cu  0.192  0.192  0.192
Cu  0.802  0.802  0.802
P  0.187  0.673  0.673
P  0.309  0.309  0.810
P  0.309  0.810  0.309
P  0.314  0.790  0.790
P  0.673  0.187  0.673
P  0.673  0.673  0.187
P  0.674  0.674  0.674
P  0.790  0.314  0.790
P  0.790  0.790  0.314
P  0.810  0.309  0.309

Output
* uncorrected energy: -0.1637 Ha/atom

=====

3.
Pr2CdCu2 after structural relaxation. Source: the Materials Project database, functional PBE-GGA.

Unit cell a=5.660 b=5.660 c=7.684 alpha=102.21 beta=102.21 gamma=82.21
Fractional coordinates of all 10 atoms:
Pr  0.162  0.162  0.228
Pr  0.290  0.290  0.755
Pr  0.710  0.710  0.245
Pr  0.838  0.838  0.772
Cd  0.286  0.714  0.500
Cd  0.714  0.286  0.500
Cu  0.184  0.613  0.094
Cu  0.387  0.816  0.906
Cu  0.613  0.184  0.094
Cu  0.816  0.387  0.906

Output
* uncorrected energy: -0.1462 Ha/atom

=====

4.
PrCd2Cu9 after structural relaxation. Source: the Materials Project database, functional PBE-GGA.

Unit cell a=8.485 b=8.485 c=4.998 alpha=90.00 beta=90.00 gamma=90.00
Fractional coordinates of all 24 atoms:
Pr  0.000  0.000  0.000
Pr  0.500  0.500  0.000
Cd  0.120  0.380  0.000
Cd  0.380  0.880  0.000
Cd  0.620  0.120  0.000
Cd  0.880  0.620  0.000
Cu  0.000  0.500  0.500
Cu  0.064  0.209  0.500
Cu  0.179  0.679  0.248
Cu  0.179  0.679  0.752
Cu  0.209  0.936  0.500
Cu  0.291  0.436  0.500
Cu  0.321  0.179  0.248
Cu  0.321  0.179  0.752
Cu  0.436  0.709  0.500
Cu  0.500  0.000  0.500
Cu  0.564  0.291  0.500
Cu  0.679  0.821  0.248
Cu  0.679  0.821  0.752
Cu  0.709  0.564  0.500
Cu  0.791  0.064  0.500
Cu  0.821  0.321  0.248
Cu  0.821  0.321  0.752
Cu  0.936  0.791  0.500

Output
* uncorrected energy: -0.1368 Ha/atom

=====

5.
Cd2Cu10Sb4S13 after structural relaxation. Source: the Materials Project database, functional PBE-GGA.

Unit cell a=9.168 b=9.168 c=9.168 alpha=110.92 beta=110.92 gamma=106.62
Fractional coordinates of all 29 atoms:
Cd  0.233  0.233  0.000
Cd  0.767  0.767  0.000
>>>
(NAME AND ADDRESS WITHHELD) likes Twilight....Goddamnit. They've gotten to her too.
Taskmister: Would Twilight have been better,Taskmister: if it was about Pimps instead of Vampires?
>>761dracsmack.pnglol fund it
Does anyone have the list of 'Number of Times Bella Described Edward as Dazzling'? I'm gathering up every piece of Twilight propaganda I can find so I can keep it in my pocket. I feel like being an ass to my teenage cousins.
Unrelated to this text: materials data:
____________
Entry 1:
PdPb2F6 | GGA-PBE | optimized geometry

```
PdPb2F6
1.0
3.002 -8.510 0.000
3.002 8.510 0.000
0.000 0.000 5.999
F Pb Pd
12 4 2
Cartesian
0.993 -1.438 5.002
4.462 -4.255 1.500
3.995 -1.438 3.996
0.993 1.438 5.002
5.010 1.438 0.997
2.009 1.438 2.002
1.542 -4.255 4.499
4.462 4.255 1.500
2.009 -1.438 2.002
5.010 -1.438 0.997
3.995 1.438 3.996
1.542 4.255 4.499
3.002 -5.753 2.999
3.002 5.753 2.999
3.002 2.757 0.000
3.002 -2.757 0.000
3.002 0.000 2.999
0.000 0.000 0.000
```

For the energy of formation, the calculation gives -2.289 eV per atom. As for the space-group type: Cmce.

Entry 2:
Ca3Ga2Sn3O12 | GGA-PBE | optimized geometry

```
Ca3Ga2Sn3O12
1.0
9.945 -0.238 5.127
-3.880 10.497 -0.130
-7.195 -6.569 5.508
O Sn Ga Ca
48 12 8 12
Cartesian
-4.515 3.713 2.743
1.846 -1.459 5.639
1.363 -3.942 7.271
-0.818 -0.024 4.513
-1.552 2.414 3.577
-7.752 0.148 5.634
-2.302 -1.321 7.211
2.078 5.444 6.482
-0.508 6.873 4.921
-4.913 -2.689 6.600
-0.702 -5.558 8.792
-2.432 2.635 9.366
-2.590 -5.072 6.906
3.645 0.363 4.016
-3.207 -1.754 4.023
0.422 1.276 6.928
6.622 3.542 4.871
3.784 6.379 3.905
6.531 -2.102 6.448
1.065 1.873 4.048
-0.815 4.740 8.801
-7.660 5.792 4.058
-4.775 3.326 6.489
6.397 6.187 5.430
-0.314 -1.050 1.704
3.290 2.666 6.412
1.461 8.762 3.599
-5.567 6.546 2.505
-0.312 3.714 5.993
-4.419 1.024 4.094
1.302 1.054 1.139
0.375 -1.185 8.627
3.386 -0.023 7.762
4.438 -2.857 8.000
-0.621 -3.183 5.584
0.248 2.423 9.729
-6.778 2.892 3.995
-1.378 1.267 0.776
-2.194 1.816 6.457
-4.978 0.011 6.851
3.849 3.679 3.654
-0.427 9.248 1.713
-1.504 4.875 1.878
-7.527 -2.497 5.075
5.649 0.798 6.510
-2.975 5.149 4.866
-2.493 7.632 3.235
1.173 5.011 3.295
3.165 8.185 4.420
6.833 1.595 5.142
2.962 2.145 4.533
0.608 5.260 5.173
-2.637 4.038 3.266
-3.951 7.513 1.904
-4.091 1.544 5.973
1.507 -0.348 7.239
2.821 -3.823 8.601
-4.294 -4.495 6.085
-1.737 -1.571 5.333
-7.962 2.095 5.363
1.375 -3.403 5.317
3.033 5.129 2.499
-5.537 1.964 2.689
-3.597 -3.284 2.754
4.973 -0.119 2.563
-1.940 5.248 -0.065
0.000 0.000 0.000
-0.565 1.845 5.253
4.478 4.710 5.782
4.276 -1.330 5.894
-1.049 -3.272 7.991
0.132 3.056 1.922
-0.080 6.962 2.514
1.446 -0.419 3.283
-5.608 -1.020 4.723
-1.261 0.634 8.584
-5.405 5.019 4.611
1.295 3.559 7.831
-2.575 4.109 7.222
-2.425 0.131 2.674
```

Its relative energy among the computed polymorphs is 105.7 meV per atom. For the energy of formation, the calculation gives -2.481 eV per atom. As for the space-group type: Ia-3d.

Entry 3:
Sr4MgIn2Sb2O12 | GGA-PBE | optimized geometry

```
Sr4MgIn2Sb2O12
1.0
6.039 0.010 0.340
0.009 5.966 0.006
0.515 0.006 8.859
In O Sr Sb Mg
2 12 4 2 1
Cartesian
6.089 2.986 4.747
3.151 5.808 0.525
5.427 2.817 6.736
3.665 5.852 6.451
4.964 0.889 0.415
4.687 1.314 4.084
2.521 0.193 2.601
0.766 3.203 2.325
4.355 4.396 4.167
1.919 4.835 8.707
1.505 4.714 4.883
4.373 4.091 0.925
2.933 2.017 8.912
1.831 1.629 4.937
5.982 5.734 2.526
3.197 2.795 2.678
3.005 3.341 6.320
6.167 0.170 6.861
3.104 0.051 4.547
0.686 3.027 0.334
4.789 2.580 8.555
____________
Today I heard a group of tittering girls say Twilight was shit. I still don't respect them, but my esteem of them has gone up somewhat.
>>784At our Thanksgiving get-together, my teenage cousin was talking about it for awhile. She didn't hesitate to call it the best movie ever.Everyone else just kind of referred to it as 'that' book. Wasn't sure what to make of that.
>>785Throw good books at her. Good, thick, fantasy epics.
I want to see somebody do what Bram Stoker did, from a different angle. Stoker took a pile of vampire lore, picked out the bits he liked, smushed them together, added some flavor and personal touches, and created a literary icon.But there's so much he chose not to use. Here are some very minimal attributes of folkloric vampires:The Upir is the name for the vampire in Russia and the Ukraine. He doesn't drink blood, and he doesn't have fangs. He just fucking EATS YOU. Upir eat flesh, and they don't care if it's living or not, just that it's human.The Nelapsi is a Czech vampire. He carried the plague, has three hearts, and can kill you by looking at you, like a basilisk.In Hungary, there is a vampire who drinks blood. He also has no fangs. Instead, he carries around a bucket. If he meets you, and you are unprotected by the cross or some other defensive measure, he hits you on the back so hard you cough up blood and die. He catches the blood you vomit up in his bucket, and then gulps it all down.Traditional Romanian/Transylvania vampires DO drink blood, but they're not pussies; they don't go for your veins. They don't go for your throat or your wrists. They don't have fangs either. Instead, they BREAK OPEN YOUR RIB CAGE, lean in, and bite STRAIGHT INTO YOUR HEART, then lets the blood pump straight down his throat.And this isn't even describing what they LOOKED like. They weren't handsome. They weren't suave. Imagine a hirsute human corpse with a unibrow and hairy palms, ruddy and swollen with blood and chewed flesh to the point that the skin is stretched so thin that its become shiny, often compared to animal membranes stretched taut over a drum.
>he hits you on the back so hard you cough up blood and die.MY BLOOD! HE PUNCHED OUT ALL MY BLOOD!
>>799what a weird coincidence, in one of an old acquaintance's vampire:the masquerade games, his character punched a dude who proceeded to puke up a bunch of blood. I wonder if it's just a coincidence...
I never had a problem with "Suave, seductive" vampires until Twilight. Back in the day, it was just another way for them to get someone to let their guard down and get some fangs in their neck, but thanks to Meyer... Bah.
>>796>>The Upir is the name for the vampire in Russia and the Ukraine. He doesn't drink blood, and he doesn't have fangs. He just fucking EATS YOU. Upir eat flesh, and they don't care if it's living or not, just that it's human....that's not a vampire. That's a ghoul. Or a Wendigo....I want a genre of literature based on Ghouls now. Can we have that?
>>804Ghouls are basically something halfway between zombies and cannibals, right? Find some books about smart zombies or dumb cannibals, badda-bing badda-boom.
**Attached: data records:**
'''
Entry 1:
DFT (meta-GGA r2SCAN) results for crystalline KSb2 at its relaxed geometry.

Cell: 4.280 7.117 7.445 Å, 94.91 106.71 90.00°
Fractional positions:
K1 0.632 0.628 0.263
K2 0.368 0.372 0.737
Sb1 0.314 0.871 0.628
Sb2 0.686 0.129 0.372
Sb3 0.054 0.181 0.109
Sb4 0.946 0.819 0.891

formation energy from the elements = -0.3916 eV per atom

---

Entry 2:
DFT (meta-GGA r2SCAN) results for crystalline K5Sb4 at its relaxed geometry.

Cell: 5.488 6.801 11.085 Å, 74.50 75.67 66.21°
Fractional positions:
K1 0.900 0.809 0.391
K2 0.100 0.191 0.609
K3 0.245 0.343 0.166
K4 0.755 0.657 0.834
K5 0.000 0.000 0.000
Sb1 0.544 0.735 0.177
Sb2 0.456 0.265 0.823
Sb3 0.605 0.398 0.392
Sb4 0.395 0.602 0.608

distance to the lowest polymorph of the same formula = 0 meV/atom
formation energy from the elements = -0.5759 eV per atom

---

Entry 3:
DFT (meta-GGA r2SCAN) results for crystalline KSbSe2 at its relaxed geometry.

Cell: 6.580 6.550 12.456 Å, 89.97 97.35 89.92°
Fractional positions:
K1 0.517 0.738 0.881
K2 0.483 0.262 0.119
K3 0.984 0.737 0.619
K4 0.016 0.263 0.381
Sb1 0.037 0.796 0.121
Sb2 0.963 0.204 0.879
Sb3 0.463 0.795 0.379
Sb4 0.537 0.205 0.621
Se1 0.517 0.186 0.384
Se2 0.483 0.814 0.616
Se3 0.983 0.186 0.115
Se4 0.017 0.814 0.885
Se5 0.932 0.230 0.645
Se6 0.068 0.770 0.355
Se7 0.568 0.231 0.855
Se8 0.432 0.769 0.145

formation energy from the elements = -0.8152 eV per atom

---

Entry 4:
DFT (meta-GGA r2SCAN) results for crystalline KSb2Se4 at its relaxed geometry.

Cell: 6.814 6.965 9.474 Å, 80.39 84.53 76.21°
Fractional positions:
K1 0.803 0.816 0.430
K2 0.197 0.184 0.570
Sb1 0.582 0.395 0.831
Sb2 0.418 0.605 0.169
Sb3 0.847 0.813 0.951
Sb4 0.153 0.187 0.049
Se1 0.209 0.855 0.882
Se2 0.791 0.145 0.118
Se3 0.085 0.483 0.230
Se4 0.915 0.517 0.770
Se5 0.599 0.412 0.409
Se6 0.401 0.588 0.591
Se7 0.689 0.063 0.724
Se8 0.311 0.937 0.276

formation energy from the elements = -0.5743 eV per atom


NaYP4O12 | PBE | relaxed

The total energy comes out at -531.2 eV per cell. The magnetization comes out at 0.00 μB per formula unit.

Cell: 13.205 7.269 12.177 Å, 53.80 90.00 90.00°
Fractional coordinates of all 72 atoms:
O 0.791 0.670 0.606
O 0.419 0.289 0.295
O 0.081 0.289 0.795
O 0.888 0.807 0.906
O 0.875 0.906 0.664
O 0.887 0.373 0.202
O 0.113 0.627 0.798
O 0.634 0.477 0.348
O 0.866 0.477 0.848
O 0.709 0.670 0.106
O 0.387 0.627 0.298
O 0.813 0.778 0.354
O 0.134 0.523 0.152
O 0.852 0.101 0.104
O 0.333 0.796 0.799
O 0.209 0.330 0.394
O 0.581 0.711 0.705
O 0.375 0.094 0.836
O 0.352 0.899 0.396
O 0.388 0.193 0.594
O 0.520 0.645 0.139
O 0.612 0.807 0.406
O 0.163 0.652 0.585
O 0.648 0.101 0.604
O 0.167 0.796 0.299
O 0.663 0.348 0.915
O 0.313 0.222 0.146
O 0.366 0.523 0.652
O 0.625 0.906 0.164
O 0.488 0.073 0.210
O 0.112 0.193 0.094
O 0.687 0.778 0.854
O 0.148 0.899 0.896
O 0.512 0.927 0.790
O 0.480 0.355 0.861
O 0.187 0.222 0.646
O 0.988 0.927 0.290
O 0.125 0.094 0.336
O 0.337 0.652 0.085
O 0.613 0.373 0.702
O 0.667 0.204 0.201
O 0.837 0.348 0.415
'''
**End of the data records:**
>>804The Upir fits all the classic symptoms of the vampire; he's a human being who died and returned from the grave to feast on the living. The Upir was just willing to feast on both the living AND the dead. Ghouls are something else entirely. Common conception these days is something undead, but that's really not the case at all. Ghoul comes from the Arabic "ghul" and was synonymous with "demon" or "ogre." Ghouls are sometimes equated with the djinn, but for the most part they were a generic fairy tale monster. They're rarely described, but they often tend to be physically robust, and some traditions make note of shaggy hair. Specifically, if you trimmed a ghoul's hair so it no longer hung over his eyes and obscured his vision, you would be safe from him. Babies nursed at the teat of a female ghoul (ghula) were equally immune to attack. And the subject of "attack" is odd. In today's culture, "ghoul" tends to suggest cannibalization of the dead. Arabic ghouls were oftend escribed as lingering around battlefields and graveyards to get at the corpses, but like many demons they were also described as shapeshifters. A common story involved a lonely traveler finding a camp tended by a beautiful woman, with only a minor physical deformity (that he may not notice immediately) that identified her as a shapeshifted ghoul that was planning to devour him. One particularly bizzare description of a ghoul, in fact the only detailed description I've ever read of, described it as looking like a deformed, cycloptic ostrich.Wendigos, well, that's a whole other bucket of worms.
>>816>A common story involved a lonely traveler finding a camp tended by a beautiful woman, with only a minor physical deformity (that he may not notice immediately) that identified her as a shapeshifted ghoul that was planning to devour him.Reminds me of a story I read once of a traveler who encountered a strange castle or fortress in a desert, and sought aid at it. He was accepted in by a deformed and ugly doorman, but told to keep his eyes closed until he was shown to his room. He heard strange noises but kept his eyes closed.When he reached his room he was told a servant woman would be in shortly to provide him with food and hot water for bathing. The servant woman is deformed is some manner I cannot remember, but they make love anyway.I don't remember the story too well, actually. Long story short the castle is full of people who couldn't belong anywhere else, and that's why the traveler was forced to keep his eyes shut when going to his room. I can't even remember how it ended...
Is it wrong that I want Joachim Valentine from Shadow Hearts to fight Edward?
>>804... Fallout ghouls? :D>>816At first, I read Upir as Tapir.
Postan moar.
>>928URRRRRRRONK-RONKTapirs are terrifying. think you guys will like this.
how has this not been posted?
If you ever wanted to see how bad they really are...
I posted this on a Twilight thread on /x/ once and they loved it. I said that this should be the fate Stephenie Meyer and the fans of her shitty series.
Also, has anyone been here? section will make you RAGE FFFFFFFFFFFF!
>>1210A comunity has grown and developed around the hatred the twilight books generate... my god.
>>1210>obscene amount of attacks on Anti's:>Pushed down stairs>Punched in the jaw>Beat with a bat>Threatened with knife>Attempted drowning>Brick thrown at head>Broken armHOLY SHIT! I'm never going to say a word about these shitty books ever.
>>1230THEN THE TERRORISTS HAVE WON., these two take the cake.-Attacked with ACID, then stabbed MULTIPLE TIMES with a compass. Y'know, drawing compass.-Shot with a SIGNAL FLARE....I don't remember Potter fanatics ever getting this violent.
Jesus, this is how bad movies start. It's only a matter of time before they start getting REALLY crazy and a memetics expert, his FBI agent ex-girlfriend, and Shia LaBeouf uncover the secret behind all of this., "religion"
>>1208>silently vomitingStill funny after all these years.>>1209>That fucking vampire.I do believe we've all been saying that quite a lot lately.
>>1513I think this may have been a joke one of the twilight fans made, I mean there's a batman's prayer on the net somewhere.
>>1528It may have been a joke, but I bet you ten to one there are fantards who will take it seriously.
Have there actually been news reports on any of these attacks? I'm sure most of them are real, but it's suspicious if none of them have been reported in the mainstream media.
>>788No. Too much christian bullshit.
>>780Number of Pages in the Book: 498The First Hint of a Plot that Is Not Bella and Edward's Romance: page 328When the Plot Actually Arrives: page 372Boys that Totally Love Bella (Including Edward Cullen): 5Approximate Amount of Time Bella and Edward are Romantically Involved Before Bella Is Begging Edward to Turn Her into a Vampire so They Can Be Together Forever: Like, two weeks. Maybe three. The timeline's a bit fuzzy.References to Edward's Beauty: 165Broken Down into the following categories -* Face: 24 (Favorite adjectives: glorious, heavenly, seraphic)* Voice: 20 (The voice of an archangel, donchaknow.)* Eyes: 17* Movement: 11* Smile: 10* Teeth: 8* Muscles: 7* Skin: 7 (Note: This only contains accounts of Edward's skin being beautiful. I didn't count references to it as "pale," "cold," or "white." If I had, this number would be about ten times larger.)* Iron Strength or Limbs: 5* Breath: 4 (EVEN HIS BREATH IS AMAZING.)* Scent: 4* Laughter: 3* Handwriting: 2* Chest: 2* Driving Skills: 1
>>1640The Number of Times...* Bella Is Clumsy or Makes a Reference to Her Clumsiness: 26* Bella Sneers at Forks or Its Inhabitants: 22* Bella is "Dazzled" or Rendered Speechless by Edward's Beauty or Touch: 17* Edward Tells Bella to Stay Away from Him While Completely Contradicting Himself with His Behavior: 16* Bella is Utterly Desolate at Edward's Absence: 12* Edward and Bella Kiss: 8o Bella's Hormones Get the Better of Her and She Attacks Edward, Almost Causing Him to Eat Her: 2 (She's not even allowed to kiss him back! Where's the fun in that?)o Edward's Kiss Makes Bella Faint: 1o Edward's Kiss Makes Bella's Heart Literally Stop: 1* Bella Thinks She Isn't Good Enough for Edward: 6* Edward Is Referred to As Godlike: 5 (Note: This number might be off, as I didn't start counting until three or four mentions in.)* Edward Tells Bella She's Unnatural: 5* Edward Sparkles: 3* Bella is in Mortal Danger: 3o Edward Saves Bella from Mortal Danger: 3* Edward Stalks Bella, For Real: 2 (Note: One of these instances involves watching her sleep every night for, like, months.)* Bella says "Holy Crow!": 2* Bella and Edward Argue About Who Loves the Other Most: 1* Edward's Inability to Read Bella's Mind is Explained: 0
>>1640>>1641Took awhile, but thanks a bundle Doc.
No son of mine sparkles!
So kawaii desu nee ^_^
My search for fanart of Alice and Ed's mom raping Bella in front of him has failed.
It appears that I have found an Alice/Jacob shipper.I have no objections to this.
Though I warn you: do not check out her dA account unless you're prepared for her other stuff. Her gallery has a lot of yaoi. And furries.
I have to admit the psuedo-incest thing is kind of hot. Too bad there's most of the art is faggy animu style.
Wait, I'm confused. Did this turn into a Twilight fan thread?
>>1682I think it's more of a "not all Twilight fanart is horrible" thread.
>>1683That's rIdiculous, if it wasn't horrible, then it wouldn't be Twilight fanart!
>>1682>>1683>>1686YEA-wait...oooh now I feel bad.
>>1683But why? We're not fans, are we? We don't care.
>>1682I started out trying to see if this thing had any good rule 34, failed, and looked for >>1666If it's bothering you so much I'll delete it.
Also, guess what's coming out on the 21st.